We have heard the term "500-year flood" often in the news these days, and yet these extremely rare events seem to occur too frequently. Just last week, Fargo, ND experienced record flooding only 12 years after the 500-year flood in 1997.
The problem is, people often have a misconception about flood-related terms, according to Jim Angel, state climatologist at the Illinois State Water Survey (ISWS), University of Illinois at Urbana-Champaign
"Whenever someone mentions a 100-year flood or 500-year flood, it implies that the occurrence is based on the calendar, in that a 500-year flood would happen only once in 500 years," Angel said. "In fact, what we're really talking about is probability."
A 100-year flood has a 1 percent chance of happening in any given year, and a 500-year flood has a 0.2 percent chance of occurrence. A 100-year flood could, in fact, occur in a particular location two years in a row.
"It's unlucky that this would happen, but not impossible," Angel said. "This misconception about flood terms can be dangerous, particularly when residents cancel their flood insurance or fail to prepare for the worst."
Flood terminology, while often giving the public a false sense of security, is used to classify floodplain locations for insurance and regulatory purposes. Historical data are analyzed as a basis to classify flood sizes.
Inserted here: quantum chemistry results:
'''
{
  "formula": "C13H13N3O3S2",
  "method": "wB97M-V/def2-TZVPD",
  "e_tot_ev": -45962.940,
  "max_force_ha_per_bohr": 0.318,
  "lumo_ev": 0.04,
  "symbols": ["C", "C", "H", "C", "O", "N", "H", "C", "C", "C", "C", "C", "C", "C", "H", "O", "C", "O", "H", "H", "H", "H", "H", "H", "S", "C", "N", "N", "C", "S", "H", "H", "H", "H"],
  "xyz": [[3.229, -1.193, 2.113], [2.219, -1.425, 0.969], [1.203, -1.824, 1.313], [2.047, -0.303, 0.007], [3.015, 0.678, -0.155], [0.961, -0.486, -0.591], [0.365, -1.340, -0.331], [0.469, 0.599, -1.698], [-0.672, 1.338, -1.082], [-1.985, 1.231, -1.408], [-3.220, 1.730, -0.946], [-2.795, 2.634, 0.018], [-1.323, 3.033, 0.618], [-0.528, 2.210, 0.072], [0.632, 2.424, 0.325], [-1.483, 3.719, 1.772], [-2.752, 4.275, 1.948], [-3.620, 3.473, 0.981], [-3.297, 4.031, 2.759], [-3.004, 5.203, 1.737], [-4.033, 1.717, -1.302], [-2.265, 0.298, -2.162], [1.187, 1.170, -1.749], [0.069, -0.011, -2.403], [2.925, -2.937, -0.338], [1.489, -3.632, -0.636], [0.481, -3.175, -0.384], [-0.728, -4.043, -1.114], [-0.093, -5.153, -1.505], [1.604, -5.183, -1.452], [-0.813, -5.799, -2.197], [4.258, -0.764, 1.478], [3.488, -2.079, 2.626], [2.968, -0.416, 2.718]],
  "forces_ev_per_angstrom": [[3.335, -0.218, -5.660], [0.984, -2.033, 1.156], [1.677, 0.351, -0.444], [7.268, 4.076, 1.330], [-5.065, -4.605, 0.613], [-4.889, 1.813, -3.878], [0.901, 1.561, -0.819], [-6.902, -6.158, 6.245], [-2.518, 1.709, 2.005], [-1.214, -6.075, -4.846], [13.852, 4.129, 7.684], [-0.343, 4.408, 5.233], [-9.716, -0.911, -0.980], [10.254, -0.856, -1.490], [-2.247, -0.982, -0.090], [1.571, 0.988, 0.564], [-0.680, -6.335, -4.666], [1.000, -1.271, -2.197], [-0.399, -1.149, 3.890], [0.444, 4.967, -1.525], [-11.182, -0.955, -4.843], [1.168, 2.387, 1.195], [7.747, 5.425, -1.713], [-0.360, -1.194, -2.911], [3.629, 3.356, 2.885], [8.885, -5.947, -3.058], [-15.359, 3.122, 0.778], [4.037, -1.431, 1.440], [-4.297, 2.136, -1.817], [0.059, -1.122, -0.256], [2.038, 0.913, 1.771], [-2.817, -1.247, 2.065], [0.145, -0.918, 0.631], [-1.006, 2.066, 1.706]],
  "nbo_charge": [-0.63, -0.22, 0.24, 0.57, -0.72, -0.58, 0.45, -0.17, -0.11, -0.12, -0.30, 0.34, 0.27, -0.25, 0.22, -0.47, 0.26, -0.57, 0.17, 0.16, 0.20, 0.18, 0.22, 0.22, 0.25, -0.14, -0.37, -0.23, -0.21, 0.38, 0.27, 0.24, 0.22, 0.23]
}

---

{
  "formula": "C6H7ClO2S",
  "method": "wB97M-V/def2-TZVPD",
  "e_tot_ev": -33786.397,
  "max_force_ha_per_bohr": 0.075,
  "smiles": "CO[C@]1(Cl)SC=C(C)C1=O",
  "lumo_ev": -0.40,
  "symbols": ["C", "O", "C", "Cl", "S", "C", "C", "C", "C", "O", "H", "H", "H", "H", "H", "H", "H"],
  "xyz": [[-3.003, -0.577, -1.139], [-1.758, -0.980, -0.606], [-1.079, -0.185, 0.234], [-2.136, 0.057, 1.907], [-0.761, 1.539, -0.278], [0.973, 1.209, -0.068], [1.383, 0.072, 0.444], [2.774, -0.397, 0.589], [0.188, -0.816, 0.590], [0.201, -1.961, 0.997], [-3.463, -1.479, -1.467], [-3.049, 0.217, -1.943], [-3.681, -0.208, -0.363], [1.501, 1.977, -0.428], [3.380, 0.077, 1.421], [3.254, -0.176, -0.296], [2.818, -1.446, 0.761]],
'''
The accuracy and timeliness of the data is all-important, according to Sally McConkey, Water Resources Engineer at the ISWS. Flood studies need to be updated as more data are collected or conditions change in a river basin, possibly due to urban development. With new information, scientists may re-evaluate flooding frequency.
The primary sources of public information on potential flooding are the Federal Emergency Management Agency (FEMA) Flood Insurance Rate Maps, which depict the area expected to be flooded in the event of a 1 percent annual-chance flood.
"These maps show a line indicating the expected extent of flooding, but floods do not stop at a line on a map," McConkey said. "People need to understand that a flood slightly greater than the 1 percent annual-chance flood can cause extensive damage beyond that line."
With the changing land use in Illinois, studies used for estimating flood risk in floodplain areas have not kept pace, according to McConkey. FEMA has proposed a plan to continue to update and upgrade the engineering studies that back up the maps.
"We need a continuing cycle of review and updates so people are well informed," she said.